<<<
Entry 1:
A structure of composition C26H48Br3Cl3FKO9P, computed with wB97M-V/def2-TZVPD.

Properties
E_LUMO in eV: -1.99
HOMO energy in eV: -3.034
Spin multiplicity: 1
Net charge: -1
Kohn-Sham gap in eV: 1.04

The geometry in XYZ format:
```
92
C26H48Br3Cl3FKO9P, DFT wB97M-V/def2-TZVPD
C -1.0837 -5.9986 -2.2137
C -0.7923 -4.5176 -2.4893
C -0.0776 -4.2408 -3.8165
P 1.5604 -4.9885 -3.9959
C 2.4228 -5.2289 -2.4384
C 2.2310 -4.1088 -1.4397
C 1.8949 -4.5194 -0.1496
C 1.6748 -3.5935 0.8563
C 1.7686 -2.2459 0.5512
C 2.1142 -1.8372 -0.7270
C 2.3692 -2.7469 -1.7408
C 2.8318 -2.3160 -3.1103
H -2.1221 -6.0870 -1.9012
H -0.9547 -6.6405 -3.0848
H -0.4911 -6.3343 -1.3615
H -0.2618 -4.0595 -1.6611
H -1.7421 -3.9896 -2.5583
H -0.0066 -3.1733 -4.0281
H -0.6703 -4.6653 -4.6322
H 2.3304 -4.2227 -4.8584
H 1.4119 -6.2430 -4.5929
H 3.4686 -5.4880 -2.6211
H 1.9581 -6.1185 -2.0074
H 1.8095 -5.5762 0.0796
H 1.4326 -3.9045 1.8619
H 1.6083 -1.4947 1.2995
H 2.1926 -0.7687 -0.8706
H 1.9909 -2.3085 -3.8080
H 3.5933 -2.9864 -3.5118
H 3.2037 -1.2992 -3.0732
Cl -0.3272 0.2362 2.1048
C 0.3448 1.8851 2.0523
C 1.2430 2.0892 0.8660
Cl 2.7425 1.0992 0.9284
H 0.8407 1.9805 3.0688
H -0.4890 2.5867 1.9909
H 1.5575 3.1307 0.8301
H 0.7530 1.8395 -0.0774
C 0.2645 0.9875 -4.2625
Br -0.1120 -0.2127 -5.7466
Br 0.8374 -0.0024 -2.7224
Br 1.5224 2.3412 -4.7521
H -0.6676 1.4827 -4.0176
C 6.8283 2.4131 1.2963
C 6.1419 2.4187 2.6411
C 5.4906 1.1140 3.0082
O 4.3951 1.5175 3.8313
C 4.0526 2.7795 3.4856
O 3.0571 3.3367 3.8183
O 4.9964 3.3038 2.6517
H 7.3288 3.3639 1.1098
H 7.5770 1.6220 1.2523
H 6.1179 2.2661 0.4811
H 6.8785 2.7650 3.4388
H 6.1555 0.4460 3.5491
H 5.0768 0.6068 2.1264
C -4.8162 1.5291 3.6090
C -3.4134 1.7278 3.0608
O -2.8842 3.0007 3.4124
H -5.4788 2.3153 3.2405
H -5.2284 0.5611 3.3187
H -4.8145 1.5870 4.7009
H -3.4230 1.6900 1.9714
H -2.7364 0.9497 3.4194
H -2.8232 3.0453 4.3714
C -4.3517 1.9637 -5.8278
C -3.6084 1.5012 -4.5895
O -2.7771 2.5221 -4.0459
H -3.6464 2.3035 -6.5867
H -4.9577 1.1588 -6.2464
H -5.0102 2.8023 -5.5912
H -2.9389 0.6769 -4.8288
H -4.3122 1.1557 -3.8248
H -3.3268 3.2716 -3.7989
F 1.0340 1.3693 4.4462
Cl 8.0620 2.1069 4.9193
K -2.3297 -8.3797 -1.9638
C 4.7099 2.0767 -2.0036
O 5.9993 1.9991 -2.3236
H 4.1296 1.1201 -2.0391
H 4.5100 2.4293 -0.9606
H 4.0900 2.7979 -2.5979
C -7.7461 3.9576 4.7068
C -7.3923 4.2011 6.1616
O -8.1114 3.1547 6.8240
C -8.3174 2.1516 5.9381
O -8.7318 1.0760 6.2188
O -7.9855 2.5483 4.6876
H -6.9449 4.2142 4.0190
H -8.6601 4.4732 4.4060
H -6.3269 4.0755 6.3580
H -7.7126 5.1720 6.5291
```

Löwdin atomic charge list, values in e, 6 entries: -0.215, -0.239, -0.312, 1.075, -0.278, -0.279

***

Entry 2:
A cluster of 2 separate species, C26H48BrClF7N2O4P in total, computed with wB97M-V/def2-TZVPD.

Properties
E_LUMO in eV: -0.94
HOMO energy in eV: -7.209
Spin multiplicity: 1
Kohn-Sham gap in eV: 6.27

The geometry in XYZ format:
```
90
C26H48BrClF7N2O4P, DFT wB97M-V/def2-TZVPD
C 5.1818 -2.0667 -0.1279
O 5.4102 -2.8770 -1.2596
C 6.0199 -2.2844 -2.3938
C 5.1474 -2.4397 -3.6459
C 4.6148 -1.1255 -4.2208
C 3.4255 -1.2819 -5.1713
C 2.1305 -1.8864 -4.5798
C 0.9752 -0.8700 -4.3680
P 0.2810 -0.2139 -2.7106
Br -1.6478 -1.7904 -2.9246
C -0.7656 1.1366 -3.5710
C -0.6704 1.5443 -5.0361
O -1.3126 0.5655 -5.8535
C 1.8813 0.8911 -2.4709
C 1.9038 2.2993 -2.9390
O 1.4569 3.2763 -2.4753
Cl 2.8846 2.4849 -4.4792
N -0.4859 0.3721 -1.1254
C -0.1212 1.6484 -0.5158
C -1.8588 0.1709 -0.8129
C -2.2030 -0.9405 0.1545
O -2.6949 1.0149 -1.0473
C 1.2906 -1.6808 -1.6074
F 2.6228 -1.4049 -1.7431
F 1.0623 -1.5422 -0.2621
C 1.2352 -3.2730 -1.8076
F 2.5176 -3.7163 -1.6959
F 0.8075 -3.6529 -3.0132
C 0.5142 -4.1787 -0.7520
F -0.7817 -3.9413 -0.5964
F 0.6426 -5.4414 -1.1621
F 1.0855 -4.0949 0.4577
H 4.1047 -1.9845 0.0574
H 5.5893 -1.0588 -0.2699
H 5.6608 -2.5109 0.7525
H 6.2192 -1.2200 -2.2037
H 6.9946 -2.7679 -2.5425
H 5.7313 -2.9529 -4.4206
H 4.3294 -3.1135 -3.3736
H 4.3989 -0.4231 -3.4067
H 5.4296 -0.6611 -4.7941
H 3.7709 -1.9110 -6.0039
H 3.2074 -0.3027 -5.6094
>>>

Search the block earlier on for the word "with" and reproduce each line that has it.

A structure of composition C26H48Br3Cl3FKO9P, computed with wB97M-V/def2-TZVPD.
A cluster of 2 separate species, C26H48BrClF7N2O4P in total, computed with wB97M-V/def2-TZVPD.